(Job)
It remains to say how many lines of the block below hold the word "as", as a bare number.

(Material)
********
1.
DFT (ωB97M-V/def2-TZVPD) results for C24H16Br4NNdO2P as an isolated structure in a non-equilibrium geometry.

Summary:
E_HOMO (spin up / spin down) in eV: -10.657 / -10.683
Kohn-Sham gap (spin up / spin down) in hartree: 0.260 / 0.264
<S²>: 3.7547
Molecular weight in g mol⁻¹: 845.2
Charge: +1
Lowest unoccupied orbital energy (spin up / spin down) in eV: -3.59 / -3.50
2S+1: 4
F_max in hartree/bohr: 0.0658

Element x y z (Å)
Nd (-0.292, -1.878, -0.984)
N (2.236, -1.719, -0.190)
C (2.870, -0.430, -0.019)
C (4.254, -0.320, -0.029)
C (4.869, 0.910, 0.143)
C (4.099, 2.049, 0.313)
C (2.720, 1.957, 0.301)
C (2.094, 0.723, 0.149)
P (0.262, 0.612, 0.133)
C (-0.267, 1.641, 1.532)
C (-1.578, 2.121, 1.523)
C (-2.045, 2.847, 2.601)
C (-1.225, 3.075, 3.695)
C (0.069, 2.584, 3.710)
C (0.553, 1.856, 2.638)
C (-0.058, 1.598, -1.388)
C (-0.206, 2.981, -1.426)
C (-0.422, 3.620, -2.636)
C (-0.502, 2.898, -3.813)
C (-0.335, 1.520, -3.794)
C (-0.112, 0.882, -2.589)
H (1.946, -2.092, 0.732)
H (2.950, -2.368, -0.540)
H (4.854, -1.209, -0.157)
H (5.945, 0.974, 0.146)
H (4.566, 3.010, 0.456)
H (2.113, 2.842, 0.417)
H (-2.218, 1.917, 0.674)
H (-3.051, 3.233, 2.590)
H (-1.601, 3.626, 4.543)
H (0.707, 2.768, 4.560)
H (1.559, 1.461, 2.667)
H (-0.168, 3.558, -0.514)
H (-0.529, 4.694, -2.659)
H (-0.699, 3.400, -4.747)
H (-0.379, 0.956, -4.713)
H (0.055, -0.235, -2.587)
Br (-3.291, -7.854, 0.170)
C (-2.963, -5.996, 0.050)
C (-4.025, -5.094, 0.030)
Br (-5.800, -5.701, 0.210)
C (-3.770, -3.733, -0.121)
Br (-5.157, -2.463, -0.200)
C (-2.471, -3.242, -0.227)
O (-2.221, -1.944, -0.422)
C (-1.381, -4.155, -0.114)
O (-0.127, -3.690, -0.115)
C (-1.657, -5.517, -0.017)
Br (-0.167, -6.671, 0.016)

Atom charges from the Löwdin analysis, given in e for atoms 1 to 6: Nd 1.69; N -0.03; C -0.31; C -0.02; C -0.05; C -0.05

---

2.
DFT (ωB97M-V/def2-TZVPD) results for C61H48AlCl2N3O7S as an isolated structure.

Summary:
E_HOMO in eV: -1.632
Kohn-Sham gap in hartree: 0.200
Molecular weight in g mol⁻¹: 1065.0
Charge: -2
Lowest unoccupied orbital energy in eV: 3.82
F_max in hartree/bohr: 0.0118

Element x y z (Å)
Al (-0.772, -1.010, -0.529)
C (-1.433, 2.477, 4.958)
C (-1.309, 2.657, 3.459)
C (-1.353, 4.123, 3.048)
O (-2.352, 1.934, 2.848)
C (-1.858, 1.481, 1.585)
C (-0.362, 1.204, 1.874)
O (-0.106, 2.088, 2.980)
C (0.220, -0.208, 2.126)
O (-0.204, -1.038, 1.123)
C (1.769, -0.131, 2.068)
C (2.454, -1.346, 2.047)
C (3.837, -1.379, 1.975)
C (4.564, -0.192, 1.925)
C (3.890, 1.017, 1.939)
C (2.499, 1.049, 2.011)
C (-0.160, -0.804, 3.490)
C (0.368, -0.303, 4.680)
C (0.032, -0.870, 5.900)
C (-0.831, -1.961, 5.953)
C (-1.333, -2.486, 4.771)
C (-0.987, -1.915, 3.550)
C (-2.837, 0.492, 0.900)
O (-2.235, -0.002, -0.240)
C (-4.074, 1.289, 0.394)
C (-4.488, 2.521, 0.887)
C (-5.616, 3.154, 0.366)
C (-6.347, 2.565, -0.651)
C (-5.936, 1.333, -1.153)
C (-4.813, 0.709, -0.637)
C (-3.441, -0.599, 1.823)
C (-3.513, -1.915, 1.384)
C (-4.134, -2.898, 2.147)
C (-4.704, -2.582, 3.371)
C (-4.668, -1.263, 3.806)
C (-4.062, -0.282, 3.035)
H (-2.340, 2.973, 5.309)
H (-0.567, 2.916, 5.457)
H (-1.486, 1.416, 5.198)
H (-2.271, 4.589, 3.416)
H (-1.310, 4.209, 1.962)
H (-0.488, 4.647, 3.458)
H (-1.835, 2.331, 0.891)
H (0.188, 1.565, 1.002)
H (1.881, -2.266, 2.046)
H (4.349, -2.336, 1.949)
H (5.646, -0.214, 1.848)
H (4.438, 1.949, 1.864)
H (2.001, 2.008, 2.003)
H (1.048, 0.539, 4.647)
H (0.449, -0.463, 6.814)
H (-1.094, -2.405, 6.907)
H (-1.995, -3.344, 4.789)
H (-1.343, -2.339, 2.622)
H (-3.935, 2.996, 1.686)
H (-5.916, 4.119, 0.761)
H (-7.223, 3.059, -1.057)
H (-6.491, 0.860, -1.955)
H (-4.475, -0.239, -1.037)
H (-3.077, -2.194, 0.434)
H (-4.159, -3.915, 1.774)
H (-5.183, -3.347, 3.971)
H (-5.120, -0.991, 4.754)
H (-4.063, 0.737, 3.389)
Cl (-2.493, -5.411, -1.740)
C (-2.331, -4.018, -2.773)
C (-2.685, -4.131, -4.131)
C (-2.591, -3.064, -4.972)
Cl (-3.038, -3.252, -6.659)
C (-2.138, -1.806, -4.501)
C (-2.022, -0.619, -5.264)
C (-1.586, 0.524, -4.667)
C (-1.235, 0.516, -3.300)
N (-1.333, -0.570, -2.582)
********

(Completed)
2